Please quote the lines below character by character.

[1]
DFT (ωB97M-V/def2-TZVPD) results for a structure of composition C56H64FeN7O4Se at a distorted geometry.

Gap between HOMO and LUMO (spin up / spin down) (eV): 6.23 / 6.26
E_HOMO (spin up / spin down) (eV): -4.24 / -4.26
LUMO (spin up / spin down) (eV): 2.0 / 2.0
Net charge: -1

The geometry in XYZ format:
```
133
C56H64FeN7O4Se | the Open Molecules 2025 dataset | ωB97M-V/def2-TZVPD
Fe 0.19 0.78 -1.22
C -3.78 -5.09 1.21
C -4.47 -4.40 0.02
C -4.37 -5.31 -1.21
C -5.95 -4.23 0.37
C -3.79 -3.06 -0.27
C -2.42 -3.01 -0.52
C -1.79 -1.81 -0.80
Se 0.07 -1.88 -1.20
C 0.85 -1.86 0.54
C 1.44 -3.01 1.04
C 2.09 -2.99 2.27
C 2.14 -1.76 2.92
C 1.59 -0.58 2.44
C 0.85 -0.62 1.22
O 0.20 0.39 0.73
C 1.82 0.70 3.28
C 0.99 0.60 4.56
C 1.44 2.00 2.56
C 3.31 0.82 3.65
C 2.72 -4.22 2.91
C 4.22 -3.98 3.14
C 2.05 -4.52 4.25
C 2.58 -5.46 2.02
C -2.46 -0.56 -0.87
O -1.84 0.54 -1.19
C -3.87 -0.62 -0.61
C -4.47 -1.85 -0.33
C -4.73 0.64 -0.60
C -4.62 1.37 -1.94
C -4.23 1.55 0.53
C -6.21 0.37 -0.34
H -4.27 -6.04 1.44
H -3.82 -4.45 2.10
H -2.73 -5.30 1.00
H -4.83 -6.28 -1.01
H -3.32 -5.48 -1.48
H -4.87 -4.85 -2.06
H -6.39 -5.20 0.60
H -6.51 -3.79 -0.46
H -6.08 -3.59 1.25
H -1.82 -3.91 -0.51
H 1.39 -3.92 0.45
H 2.65 -1.72 3.87
H -0.07 0.50 4.32
H 1.12 1.50 5.18
H 1.28 -0.27 5.16
H 0.37 2.08 2.44
H 1.88 2.05 1.57
H 1.80 2.84 3.17
H 3.65 0.00 4.28
H 3.48 1.75 4.20
H 3.92 0.84 2.75
H 4.39 -3.13 3.81
H 4.72 -3.76 2.20
H 4.69 -4.86 3.59
H 2.18 -3.69 4.95
H 2.47 -5.42 4.71
H 0.97 -4.67 4.11
H 3.07 -5.32 1.06
H 1.53 -5.70 1.84
H 3.04 -6.32 2.51
H -5.53 -1.86 -0.15
H -3.57 1.55 -2.17
H -5.16 2.32 -1.91
H -5.05 0.75 -2.74
H -3.17 1.71 0.41
H -4.41 1.08 1.50
H -4.75 2.52 0.52
H -6.65 -0.27 -1.11
H -6.75 1.32 -0.34
H -6.38 -0.10 0.63
C -1.83 3.50 -3.04
O -0.90 2.45 -3.22
C -0.85 1.84 -4.42
C -1.61 2.24 -5.52
C -1.49 1.56 -6.73
C -0.62 0.49 -6.85
C 0.14 0.11 -5.75
C 0.04 0.76 -4.53
N 0.80 0.40 -3.36
N 1.73 -0.41 -3.65
C 2.64 -0.82 -2.71
C 2.85 -0.16 -1.48
O 2.20 0.88 -1.14
C 3.88 -0.67 -0.60
C 4.61 -1.75 -0.93
C 4.45 -2.41 -2.20
C 5.26 -3.51 -2.55
C 5.13 -4.13 -3.77
C 4.16 -3.65 -4.67
C 3.36 -2.58 -4.34
C 3.48 -1.93 -3.10
H -1.54 4.38 -3.62
H -1.82 3.73 -1.98
H -2.84 3.20 -3.32
H -2.28 3.07 -5.45
H -2.09 1.88 -7.57
H -0.52 -0.04 -7.78
H 0.83 -0.72 -5.82
H 4.00 -0.18 0.36
H 5.34 -2.15 -0.23
H 6.00 -3.86 -1.84
H 5.76 -4.97 -4.03
H 4.05 -4.13 -5.64
H 2.61 -2.22 -5.04
C -1.17 3.43 0.90
C -0.15 3.75 -0.12
N 0.56 2.87 -0.78
C 1.42 3.57 -1.59
C 1.23 4.90 -1.42
N 0.22 5.01 -0.47
C -0.27 6.24 0.10
N 0.00 6.29 1.52
N -1.00 6.59 2.38
N -0.57 6.53 3.58
C 0.77 6.16 3.54
C 1.68 5.93 4.57
C 2.95 5.55 4.21
C 3.32 5.39 2.85
C 2.43 5.61 1.82
C 1.14 6.01 2.21
H -1.28 2.35 0.92
H -2.14 3.90 0.69
H -0.85 3.76 1.90
H 2.13 3.05 -2.21
H 1.69 5.77 -1.85
H -1.35 6.33 0.00
H 0.21 7.06 -0.42
H 1.39 6.04 5.60
H 3.69 5.35 4.97
H 4.32 5.07 2.61
H 2.71 5.46 0.79
```



[2]
DFT (ωB97M-V/def2-TZVPD) results for a structure of composition C6H8N at a distorted geometry.

Gap between HOMO and LUMO (spin up / spin down) (eV): 7.51 / 7.51
E_HOMO (spin up / spin down) (eV): -13.01 / -13.01
LUMO (spin up / spin down) (eV): -5.5 / -5.5
Relative energy (zero: lowest compared OMol25 entry of this formula, charge and spin) (kcal per mole): 176.6
Net charge: +1

The geometry in XYZ format:
```
15
C6H8N | the Open Molecules 2025 dataset | ωB97M-V/def2-TZVPD
C -0.69 1.19 1.55
C 0.41 1.30 0.83
C -1.82 0.47 1.44
C -1.55 -0.21 0.25
C -0.43 0.45 -0.30
C 1.50 -1.05 -0.60
N 0.50 -0.19 -1.29
H -2.73 0.51 1.94
H -2.36 -0.49 -0.31
H 1.24 1.96 1.23
H 2.28 -0.56 -0.03
H 0.92 -1.44 0.25
H 1.86 -1.72 -1.28
H -0.07 -0.83 -1.98
H 0.92 0.59 -1.71
```



[3]
DFT (ωB97M-V/def2-TZVPD) results for a structure of composition C6H5NO2Rb at a distorted geometry.

Gap between HOMO and LUMO (eV): 7.49
E_HOMO (eV): -11.85
LUMO (eV): -4.4
Net charge: +1

The geometry in XYZ format:
```
15
C6H5NO2Rb | the Open Molecules 2025 dataset | ωB97M-V/def2-TZVPD
Rb 3.59 0.80 7.52
C 0.25 -0.38 -2.34
C -1.12 -0.18 -2.03
C -1.42 0.18 -0.75

[1]
DFT (ωB97M-V/def2-TZVPD) results for a structure of composition C56H64FeN7O4Se at a distorted geometry.

Gap between HOMO and LUMO (spin up / spin down) (eV): 6.23 / 6.26
E_HOMO (spin up / spin down) (eV): -4.24 / -4.26
LUMO (spin up / spin down) (eV): 2.0 / 2.0
Net charge: -1

The geometry in XYZ format:
```
133
C56H64FeN7O4Se | the Open Molecules 2025 dataset | ωB97M-V/def2-TZVPD
Fe 0.19 0.78 -1.22
C -3.78 -5.09 1.21
C -4.47 -4.40 0.02
C -4.37 -5.31 -1.21
C -5.95 -4.23 0.37
C -3.79 -3.06 -0.27
C -2.42 -3.01 -0.52
C -1.79 -1.81 -0.80
Se 0.07 -1.88 -1.20
C 0.85 -1.86 0.54
C 1.44 -3.01 1.04
C 2.09 -2.99 2.27
C 2.14 -1.76 2.92
C 1.59 -0.58 2.44
C 0.85 -0.62 1.22
O 0.20 0.39 0.73
C 1.82 0.70 3.28
C 0.99 0.60 4.56
C 1.44 2.00 2.56
C 3.31 0.82 3.65
C 2.72 -4.22 2.91
C 4.22 -3.98 3.14
C 2.05 -4.52 4.25
C 2.58 -5.46 2.02
C -2.46 -0.56 -0.87
O -1.84 0.54 -1.19
C -3.87 -0.62 -0.61
C -4.47 -1.85 -0.33
C -4.73 0.64 -0.60
C -4.62 1.37 -1.94
C -4.23 1.55 0.53
C -6.21 0.37 -0.34
H -4.27 -6.04 1.44
H -3.82 -4.45 2.10
H -2.73 -5.30 1.00
H -4.83 -6.28 -1.01
H -3.32 -5.48 -1.48
H -4.87 -4.85 -2.06
H -6.39 -5.20 0.60
H -6.51 -3.79 -0.46
H -6.08 -3.59 1.25
H -1.82 -3.91 -0.51
H 1.39 -3.92 0.45
H 2.65 -1.72 3.87
H -0.07 0.50 4.32
H 1.12 1.50 5.18
H 1.28 -0.27 5.16
H 0.37 2.08 2.44
H 1.88 2.05 1.57
H 1.80 2.84 3.17
H 3.65 0.00 4.28
H 3.48 1.75 4.20
H 3.92 0.84 2.75
H 4.39 -3.13 3.81
H 4.72 -3.76 2.20
H 4.69 -4.86 3.59
H 2.18 -3.69 4.95
H 2.47 -5.42 4.71
H 0.97 -4.67 4.11
H 3.07 -5.32 1.06
H 1.53 -5.70 1.84
H 3.04 -6.32 2.51
H -5.53 -1.86 -0.15
H -3.57 1.55 -2.17
H -5.16 2.32 -1.91
H -5.05 0.75 -2.74
H -3.17 1.71 0.41
H -4.41 1.08 1.50
H -4.75 2.52 0.52
H -6.65 -0.27 -1.11
H -6.75 1.32 -0.34
H -6.38 -0.10 0.63
C -1.83 3.50 -3.04
O -0.90 2.45 -3.22
C -0.85 1.84 -4.42
C -1.61 2.24 -5.52
C -1.49 1.56 -6.73
C -0.62 0.49 -6.85
C 0.14 0.11 -5.75
C 0.04 0.76 -4.53
N 0.80 0.40 -3.36
N 1.73 -0.41 -3.65
C 2.64 -0.82 -2.71
C 2.85 -0.16 -1.48
O 2.20 0.88 -1.14
C 3.88 -0.67 -0.60
C 4.61 -1.75 -0.93
C 4.45 -2.41 -2.20
C 5.26 -3.51 -2.55
C 5.13 -4.13 -3.77
C 4.16 -3.65 -4.67
C 3.36 -2.58 -4.34
C 3.48 -1.93 -3.10
H -1.54 4.38 -3.62
H -1.82 3.73 -1.98
H -2.84 3.20 -3.32
H -2.28 3.07 -5.45
H -2.09 1.88 -7.57
H -0.52 -0.04 -7.78
H 0.83 -0.72 -5.82
H 4.00 -0.18 0.36
H 5.34 -2.15 -0.23
H 6.00 -3.86 -1.84
H 5.76 -4.97 -4.03
H 4.05 -4.13 -5.64
H 2.61 -2.22 -5.04
C -1.17 3.43 0.90
C -0.15 3.75 -0.12
N 0.56 2.87 -0.78
C 1.42 3.57 -1.59
C 1.23 4.90 -1.42
N 0.22 5.01 -0.47
C -0.27 6.24 0.10
N 0.00 6.29 1.52
N -1.00 6.59 2.38
N -0.57 6.53 3.58
C 0.77 6.16 3.54
C 1.68 5.93 4.57
C 2.95 5.55 4.21
C 3.32 5.39 2.85
C 2.43 5.61 1.82
C 1.14 6.01 2.21
H -1.28 2.35 0.92
H -2.14 3.90 0.69
H -0.85 3.76 1.90
H 2.13 3.05 -2.21
H 1.69 5.77 -1.85
H -1.35 6.33 0.00
H 0.21 7.06 -0.42
H 1.39 6.04 5.60
H 3.69 5.35 4.97
H 4.32 5.07 2.61
H 2.71 5.46 0.79
```



[2]
DFT (ωB97M-V/def2-TZVPD) results for a structure of composition C6H8N at a distorted geometry.

Gap between HOMO and LUMO (spin up / spin down) (eV): 7.51 / 7.51
E_HOMO (spin up / spin down) (eV): -13.01 / -13.01
LUMO (spin up / spin down) (eV): -5.5 / -5.5
Relative energy (zero: lowest compared OMol25 entry of this formula, charge and spin) (kcal per mole): 176.6
Net charge: +1

The geometry in XYZ format:
```
15
C6H8N | the Open Molecules 2025 dataset | ωB97M-V/def2-TZVPD
C -0.69 1.19 1.55
C 0.41 1.30 0.83
C -1.82 0.47 1.44
C -1.55 -0.21 0.25
C -0.43 0.45 -0.30
C 1.50 -1.05 -0.60
N 0.50 -0.19 -1.29
H -2.73 0.51 1.94
H -2.36 -0.49 -0.31
H 1.24 1.96 1.23
H 2.28 -0.56 -0.03
H 0.92 -1.44 0.25
H 1.86 -1.72 -1.28
H -0.07 -0.83 -1.98
H 0.92 0.59 -1.71
```



[3]
DFT (ωB97M-V/def2-TZVPD) results for a structure of composition C6H5NO2Rb at a distorted geometry.

Gap between HOMO and LUMO (eV): 7.49
E_HOMO (eV): -11.85
LUMO (eV): -4.4
Net charge: +1

The geometry in XYZ format:
```
15
C6H5NO2Rb | the Open Molecules 2025 dataset | ωB97M-V/def2-TZVPD
Rb 3.59 0.80 7.52
C 0.25 -0.38 -2.34
C -1.12 -0.18 -2.03
C -1.42 0.18 -0.75